Activity:
Next, retype all of the entries underneath word for word.

Listing:
=====
# 1
Rb2PrBr5: relaxed, meta-GGA r2SCAN.

a = 8.687 Å, b = 9.382 Å, c = 13.855 Å
α = 90.00°, β = 90.00°, γ = 90.00°
Fractional positions:
Rb (0.946, 0.004, 0.828)
Rb (0.054, 0.996, 0.172)
Rb (0.446, 0.996, 0.672)
Rb (0.054, 0.504, 0.172)
Rb (0.554, 0.004, 0.328)
Rb (0.946, 0.496, 0.828)
Rb (0.554, 0.496, 0.328)
Rb (0.446, 0.504, 0.672)
Pr (0.924, 0.750, 0.505)
Pr (0.076, 0.250, 0.495)
Pr (0.424, 0.250, 0.995)
Pr (0.576, 0.750, 0.005)
Br (0.125, 0.750, 0.677)
Br (0.875, 0.250, 0.323)
Br (0.625, 0.250, 0.823)
Br (0.375, 0.750, 0.177)
Br (0.835, 0.044, 0.575)
Br (0.165, 0.956, 0.425)
Br (0.335, 0.956, 0.925)
Br (0.165, 0.544, 0.425)
Br (0.665, 0.044, 0.075)
Br (0.835, 0.456, 0.575)
Br (0.665, 0.456, 0.075)
Br (0.335, 0.544, 0.925)
Br (0.582, 0.750, 0.510)
Br (0.418, 0.250, 0.490)
Br (0.082, 0.250, 0.990)
Br (0.918, 0.750, 0.010)
Br (0.661, 0.750, 0.798)
Br (0.339, 0.250, 0.202)
Br (0.161, 0.250, 0.702)
Br (0.839, 0.750, 0.298)

Output
Formation energy from the elements: -2.14 eV per atom
VASP energy: -17.589 eV per atom
SG: Pnma (62)


# 2
SmSb: relaxed, meta-GGA r2SCAN.

a = 4.472 Å, b = 4.472 Å, c = 4.472 Å
α = 60.00°, β = 60.00°, γ = 60.00°
Fractional positions:
Sm (0.500, 0.500, 0.500)
Sb (0.000, 0.000, 0.000)

Output
Formation energy from the elements: -1.42 eV per atom
VASP energy: -29.138 eV per atom
SG: Fm-3m (225)


# 3
Dy3Ge13Os4: relaxed, meta-GGA r2SCAN.

a = 9.017 Å, b = 9.017 Å, c = 9.017 Å
α = 90.00°, β = 90.00°, γ = 90.00°
Fractional positions:
Dy (0.000, 0.500, 0.750)
Dy (0.500, 0.250, 0.000)
Dy (0.750, 0.000, 0.500)
Dy (0.000, 0.500, 0.250)
Dy (0.500, 0.750, 0.000)
Dy (0.250, 0.000, 0.500)
Ge (0.500, 0.500, 0.500)
Ge (0.000, 0.000, 0.000)
Ge (0.795, 0.356, 0.500)
Ge (0.644, 0.500, 0.795)
Ge (0.500, 0.205, 0.644)
Ge (0.205, 0.644, 0.500)
Ge (0.356, 0.500, 0.205)
Ge (0.500, 0.795, 0.356)
Ge (0.795, 0.644, 0.500)
Ge (0.644, 0.500, 0.205)
Ge (0.205, 0.356, 0.500)
Ge (0.356, 0.500, 0.795)
Ge (0.500, 0.795, 0.644)
Ge (0.500, 0.205, 0.356)
Ge (0.295, 0.000, 0.856)
Ge (0.144, 0.295, 0.000)
Ge (0.000, 0.144, 0.705)
Ge (0.705, 0.000, 0.144)
Ge (0.856, 0.705, 0.000)
Ge (0.000, 0.856, 0.295)
Ge (0.295, 0.000, 0.144)
Ge (0.144, 0.705, 0.000)
Ge (0.705, 0.000, 0.856)
Ge (0.856, 0.295, 0.000)
Ge (0.000, 0.144, 0.295)
Ge (0.000, 0.856, 0.705)
Os (0.750, 0.250, 0.750)
Os (0.250, 0.750, 0.250)
Os (0.750, 0.750, 0.250)
Os (0.250, 0.250, 0.750)
Os (0.250, 0.750, 0.750)
Os (0.750, 0.250, 0.250)
Os (0.250, 0.250, 0.250)
Os (0.750, 0.750, 0.750)

Output
Formation energy from the elements: -0.35 eV per atom
VASP energy: -24.763 eV per atom
SG: Pm-3n (223)


# 4
CsAcTe2: relaxed, meta-GGA r2SCAN.

a = 5.978 Å, b = 5.978 Å, c = 5.978 Å
α = 60.00°, β = 60.00°, γ = 60.00°
Fractional positions:
Cs (0.000, 0.000, 0.000)
Ac (0.500, 0.500, 0.500)
Te (0.750, 0.750, 0.750)
Te (0.250, 0.250, 0.250)

Output
Formation energy from the elements: -1.47 eV per atom
VASP energy: -37.612 eV per atom
SG: Fm-3m (225)


# 5
SmAsPd: relaxed, meta-GGA r2SCAN.

a = 4.335 Å, b = 4.335 Å, c = 7.696 Å
α = 90.00°, β = 90.00°, γ = 120.00°
Fractional positions:
Sm (0.000, 0.000, 0.499)
Sm (0.000, 0.000, 0.999)
As (0.667, 0.333, 0.264)
As (0.333, 0.667, 0.764)
Pd (0.333, 0.667, 0.236)
Pd (0.667, 0.333, 0.736)

Output
Formation energy from the elements: -1.32 eV per atom
VASP energy: -23.787 eV per atom
SG: P6_3mc (186)


# 6
TiMnSi2: relaxed, meta-GGA r2SCAN.

a = 7.709 Å, b = 8.659 Å, c = 9.473 Å
α = 90.00°, β = 90.00°, γ = 90.00°
Fractional positions:
Ti (0.000, 0.166, 0.822)
Ti (0.239, 0.170, 0.546)
Ti (0.761, 0.330, 0.046)
Ti (0.761, 0.670, 0.954)
Ti (0.761, 0.170, 0.546)
Ti (0.761, 0.830, 0.454)
Ti (0.239, 0.670, 0.954)
Ti (0.239, 0.330, 0.046)
Ti (0.000, 0.334, 0.322)
Ti (0.000, 0.666, 0.678)
Ti (0.000, 0.834, 0.178)
Ti (0.239, 0.830, 0.454)
Mn (0.249, 0.084, 0.252)
Mn (0.249, 0.584, 0.248)
Mn (0.249, 0.416, 0.752)
Mn (0.751, 0.084, 0.252)
Mn (0.751, 0.916, 0.748)
Mn (0.751, 0.416, 0.752)
Mn (0.751, 0.584, 0.248)
Mn (0.249, 0.916, 0.748)
=====

Solution:
# 1
Rb2PrBr5: relaxed, meta-GGA r2SCAN.

a = 8.687 Å, b = 9.382 Å, c = 13.855 Å
α = 90.00°, β = 90.00°, γ = 90.00°
Fractional positions:
Rb (0.946, 0.004, 0.828)
Rb (0.054, 0.996, 0.172)
Rb (0.446, 0.996, 0.672)
Rb (0.054, 0.504, 0.172)
Rb (0.554, 0.004, 0.328)
Rb (0.946, 0.496, 0.828)
Rb (0.554, 0.496, 0.328)
Rb (0.446, 0.504, 0.672)
Pr (0.924, 0.750, 0.505)
Pr (0.076, 0.250, 0.495)
Pr (0.424, 0.250, 0.995)
Pr (0.576, 0.750, 0.005)
Br (0.125, 0.750, 0.677)
Br (0.875, 0.250, 0.323)
Br (0.625, 0.250, 0.823)
Br (0.375, 0.750, 0.177)
Br (0.835, 0.044, 0.575)
Br (0.165, 0.956, 0.425)
Br (0.335, 0.956, 0.925)
Br (0.165, 0.544, 0.425)
Br (0.665, 0.044, 0.075)
Br (0.835, 0.456, 0.575)
Br (0.665, 0.456, 0.075)
Br (0.335, 0.544, 0.925)
Br (0.582, 0.750, 0.510)
Br (0.418, 0.250, 0.490)
Br (0.082, 0.250, 0.990)
Br (0.918, 0.750, 0.010)
Br (0.661, 0.750, 0.798)
Br (0.339, 0.250, 0.202)
Br (0.161, 0.250, 0.702)
Br (0.839, 0.750, 0.298)

Output
Formation energy from the elements: -2.14 eV per atom
VASP energy: -17.589 eV per atom
SG: Pnma (62)


# 2
SmSb: relaxed, meta-GGA r2SCAN.

a = 4.472 Å, b = 4.472 Å, c = 4.472 Å
α = 60.00°, β = 60.00°, γ = 60.00°
Fractional positions:
Sm (0.500, 0.500, 0.500)
Sb (0.000, 0.000, 0.000)

Output
Formation energy from the elements: -1.42 eV per atom
VASP energy: -29.138 eV per atom
SG: Fm-3m (225)


# 3
Dy3Ge13Os4: relaxed, meta-GGA r2SCAN.

a = 9.017 Å, b = 9.017 Å, c = 9.017 Å
α = 90.00°, β = 90.00°, γ = 90.00°
Fractional positions:
Dy (0.000, 0.500, 0.750)
Dy (0.500, 0.250, 0.000)
Dy (0.750, 0.000, 0.500)
Dy (0.000, 0.500, 0.250)
Dy (0.500, 0.750, 0.000)
Dy (0.250, 0.000, 0.500)
Ge (0.500, 0.500, 0.500)
Ge (0.000, 0.000, 0.000)
Ge (0.795, 0.356, 0.500)
Ge (0.644, 0.500, 0.795)
Ge (0.500, 0.205, 0.644)
Ge (0.205, 0.644, 0.500)
Ge (0.356, 0.500, 0.205)
Ge (0.500, 0.795, 0.356)
Ge (0.795, 0.644, 0.500)
Ge (0.644, 0.500, 0.205)
Ge (0.205, 0.356, 0.500)
Ge (0.356, 0.500, 0.795)
Ge (0.500, 0.795, 0.644)
Ge (0.500, 0.205, 0.356)
Ge (0.295, 0.000, 0.856)
Ge (0.144, 0.295, 0.000)
Ge (0.000, 0.144, 0.705)
Ge (0.705, 0.000, 0.144)
Ge (0.856, 0.705, 0.000)
Ge (0.000, 0.856, 0.295)
Ge (0.295, 0.000, 0.144)
Ge (0.144, 0.705, 0.000)
Ge (0.705, 0.000, 0.856)
Ge (0.856, 0.295, 0.000)
Ge (0.000, 0.144, 0.295)
Ge (0.000, 0.856, 0.705)
Os (0.750, 0.250, 0.750)
Os (0.250, 0.750, 0.250)
Os (0.750, 0.750, 0.250)
Os (0.250, 0.250, 0.750)
Os (0.250, 0.750, 0.750)
Os (0.750, 0.250, 0.250)
Os (0.250, 0.250, 0.250)
Os (0.750, 0.750, 0.750)

Output
Formation energy from the elements: -0.35 eV per atom
VASP energy: -24.763 eV per atom
SG: Pm-3n (223)


# 4
CsAcTe2: relaxed, meta-GGA r2SCAN.

a = 5.978 Å, b = 5.978 Å, c = 5.978 Å
α = 60.00°, β = 60.00°, γ = 60.00°
Fractional positions:
Cs (0.000, 0.000, 0.000)
Ac (0.500, 0.500, 0.500)
Te (0.750, 0.750, 0.750)
Te (0.250, 0.250, 0.250)

Output
Formation energy from the elements: -1.47 eV per atom
VASP energy: -37.612 eV per atom
SG: Fm-3m (225)


# 5
SmAsPd: relaxed, meta-GGA r2SCAN.

a = 4.335 Å, b = 4.335 Å, c = 7.696 Å
α = 90.00°, β = 90.00°, γ = 120.00°
Fractional positions:
Sm (0.000, 0.000, 0.499)
Sm (0.000, 0.000, 0.999)
As (0.667, 0.333, 0.264)
As (0.333, 0.667, 0.764)
Pd (0.333, 0.667, 0.236)
Pd (0.667, 0.333, 0.736)

Output
Formation energy from the elements: -1.32 eV per atom
VASP energy: -23.787 eV per atom
SG: P6_3mc (186)


# 6
TiMnSi2: relaxed, meta-GGA r2SCAN.

a = 7.709 Å, b = 8.659 Å, c = 9.473 Å
α = 90.00°, β = 90.00°, γ = 90.00°
Fractional positions:
Ti (0.000, 0.166, 0.822)
Ti (0.239, 0.170, 0.546)
Ti (0.761, 0.330, 0.046)
Ti (0.761, 0.670, 0.954)
Ti (0.761, 0.170, 0.546)
Ti (0.761, 0.830, 0.454)
Ti (0.239, 0.670, 0.954)
Ti (0.239, 0.330, 0.046)
Ti (0.000, 0.334, 0.322)
Ti (0.000, 0.666, 0.678)
Ti (0.000, 0.834, 0.178)
Ti (0.239, 0.830, 0.454)
Mn (0.249, 0.084, 0.252)
Mn (0.249, 0.584, 0.248)
Mn (0.249, 0.416, 0.752)
Mn (0.751, 0.084, 0.252)
Mn (0.751, 0.916, 0.748)
Mn (0.751, 0.416, 0.752)
Mn (0.751, 0.584, 0.248)
Mn (0.249, 0.916, 0.748)